Cat Health Never Improves


TCS Member
Super Cat
Oct 1, 2018
The spasm when your cat is urinating could be a symptom of a urinary infection or kidney infection which is causing her pain which explains her colapsing and probably unable to extend legs due to the pain in her bladder or kidneys.

Please take your cat to another vet, and get her urine and kidneys tested, it could also be a cyst putting pressure in the bladder or kidney region and is pinching a nerve. Your cat doing handstands when trying to urinate suggest there is an area around her bladder or bowel that is causing some sort of pain making it uncomfortable for her to pee or poop, and the lethergy or colapsing suggests to me the pain is bad enough that it affects her ability to be able to stand properly .

Records of crystals, kept here for reference:
For NaU2CdO8, DFT lattice parameters and positions (PBE) gives the calculated powder diffractogram in this record (Cu Kα).
Peak positions follow from Bragg's law for the DFT cell and can differ from measured ones.

Cell and atoms:
```
12
Lattice="-2.692 2.692 5.177 2.692 -2.692 5.177 2.692 2.692 -5.177" Properties=species:S:1:pos:R:3 pbc="T T T"
Na 0.000 0.000 0.000
U 0.000 0.000 5.177
U 0.000 2.692 2.588
Cd 2.692 0.000 2.588
O 1.494 1.351 -1.299
O 3.890 1.351 -1.299
O 1.351 1.494 1.299
O 1.341 -1.198 6.476
O -1.198 1.341 3.877
O 1.198 1.341 3.877
O 1.351 3.890 1.299
O 1.341 1.198 6.476
```

Largest 8 diffraction maxima, by intensity, 10° ≤ 2θ ≤ 80°:
Position (°2θ)	I/Imax
29.1	1000
18.6	479
48.8	347
56.9	311
33.3	215
58.8	191
47.8	183
79.0	142

As a human i had a cyst size of an egg on my left ovaries which caused sharp zapping pains which would make me dizzy, it also was placing pressure were my legs and fingers were going numb, also i had to go to the bathroom alot a freqently had to urinate even when i just went to the loo, i had to run back again cause i wasnt finished. Please get an ultrasound too.

Poor kitty :( She looks so sweet but misserable :(


TCS Member
Alpha Cat
Nov 7, 2016
I second the notion that you need to get a new vet. I can't imagine that anyone could look at your little cat and think there is nothing wrong. You did mention that the lab results might indicate a vitamin deficiency, so right there you've got one problem. Deficiencies can cause all sorts of weird issues. Is something being done about that?

Also, the problem could be more than one problem, the symptoms may not be a result of just one issue. This can sometimes make diagnosis difficult. Are you the person taking this cat to the vet and talking to him or her? You seem to care very much about Baby, but others seem involved and there is a difference of opinion! If you haven't already, maybe you need to take this bull by the horns and march Baby right into a feline vet yourself. I get being loyal to someone who has helped you in the past, but this vet is doing this baby no good at all.

Please post updates, I am very curious as to what's going on here. Good luck with your quest to bring this kitty back to health!


All Cats Are Special
Top Cat
Feb 8, 2018
Reidsville NC
I hope you’ll figure out what’s wrong. And let us know here when u do. You’re kitty’s skin and nails look really bizarre. And the behavior. I can’t help but wonder if they’re unrelated. What would manifest externally and cause the fur to be that way and the claws to grow like that but also cause spasms. Hopefully someone can give u answers soon. He must be suffering from this.
I totally agree...that cat is suffering..poor kitty needs A VET...advice on here is great...but this cat plainly as can be seen...NEEDS A VET ASAP:please::gaah::think::petcat::geekcat: